-- Excerpt --
~~~
Record 1
{
  "formula": "C6H5IN4",
  "method": "ωB97M-V with the def2-TZVPD basis set",
  "elements": ["C", "C", "C", "C", "C", "C", "N", "N", "N", "N", "I", "H", "H", "H", "H", "H"],
  "positions_angstrom": [[-0.655, -1.295, -0.606], [1.420, -1.108, 0.005], [-1.974, -0.778, -0.783], [-2.124, 0.558, -0.632], [-1.069, 1.490, -0.293], [0.174, 0.992, -0.044], [-0.107, -2.485, -0.663], [1.165, -2.358, -0.285], [0.320, -0.372, -0.192], [3.028, 1.100, 1.837], [3.304, -0.307, 0.612], [-2.760, -1.372, -0.970], [-2.984, 1.128, -0.817], [-1.413, 2.461, -0.177], [1.003, 1.473, 0.240], [2.672, 0.873, 2.766]],
  "forces_ev_per_angstrom": [[0.045, 1.154, 0.568], [0.846, -0.720, -0.172], [2.675, 2.096, 0.680], [1.507, 0.780, 0.022], [0.624, -3.007, 0.035], [-3.950, -1.432, -1.291], [-0.858, -0.233, -0.232], [1.433, -0.308, 0.430], [-0.733, 0.662, -0.204], [-0.312, 1.730, 0.102], [-0.374, -1.188, -0.023], [-2.517, -2.187, -0.855], [-1.765, -0.235, -0.191], [0.237, 1.854, 0.197], [2.883, 2.018, 1.143], [0.258, -0.986, -0.209]],
  "homo_lumo_gap_ev": 8.88,
  "energy_ha": -748.180950,
  "multiplicity": 1,
  "homo_ev": -8.77
}

---

Record 2
{
  "formula": "C8H8N2O2",
  "method": "ωB97M-V with the def2-TZVPD basis set",
  "elements": ["C", "C", "C", "C", "C", "C", "C", "C", "H", "H", "H", "H", "H", "H", "H", "H", "N", "N", "O", "O"],
  "positions_angstrom": [[-1.815, -2.043, -2.745], [-1.010, -1.367, -0.687], [-1.236, -1.503, 0.708], [-0.765, -0.583, 1.609], [0.268, 0.195, 1.101], [1.503, 1.966, 0.842], [0.510, 0.376, -0.277], [-0.029, -0.537, -1.285], [-2.765, -2.608, -3.209], [-0.797, -2.417, -3.230], [-2.014, -1.072, -2.938], [-1.799, -2.375, 0.907], [-0.911, -0.651, 2.691], [2.039, 3.537, 1.822], [2.901, 3.254, 0.366], [0.182, -0.214, -2.270], [2.595, 2.755, 1.255], [1.208, 1.672, -0.313], [-1.773, -2.179, -1.407], [0.771, 1.245, 1.866]],
  "forces_ev_per_angstrom": [[0.275, -4.019, -3.108], [1.813, 0.656, -0.604], [0.081, 0.789, -1.147], [1.557, -1.443, 0.276], [-1.560, 1.546, -0.187], [0.055, -0.581, 3.836], [-0.102, 0.680, 1.321], [-0.302, 2.431, 4.015], [2.357, 0.741, 1.237], [-2.126, 0.778, 0.592], [-0.167, 3.410, -1.290], [-0.911, -0.441, 0.708], [-0.258, 0.069, -0.461], [2.172, -1.703, -0.975], [-0.333, -0.856, 1.444], [-0.291, -0.507, -1.104], [-3.073, 3.227, 0.151], [-0.269, -3.165, -4.377], [-1.073, -2.000, 1.808], [2.154, 0.390, -2.137]],
  "homo_lumo_gap_ev": 8.85,
  "energy_ha": -569.556018,
  "multiplicity": 1,
  "smiles": "COc1ccc2oc(N)nc2c1",
  "homo_ev": -8.07
}

---

Record 3
{
  "formula": "HIO2",
  "method": "ωB97M-V with the def2-TZVPD basis set",
  "elements": ["O", "O", "I", "H"],
  "positions_angstrom": [[1.222, 0.254, 0.268], [-1.907, -0.392, -0.582], [-0.772, 0.810, 0.160], [1.457, -0.671, 0.154]],
  "forces_ev_per_angstrom": [[-1.142, 0.834, -0.196], [0.479, 0.032, 0.049], [1.164, -0.496, 0.159], [-0.501, -0.371, -0.013]],
  "homo_lumo_gap_ev": 7.94,
  "energy_ha": -448.628850,
  "multiplicity": 1,
  "homo_ev": -9.25
}

---

Record 4
{
  "formula": "C31H57AsCsFN2Se2",
  "method": "ωB97M-V with the def2-TZVPD basis set",
  "elements": ["Cs", "C", "C", "C", "C", "C", "C", "C", "C", "C", "C", "C", "C", "H", "H", "H", "H", "H", "H", "H", "H", "H", "H", "H", "H", "H", "H", "H", "H", "H", "H", "N", "C", "C", "N", "H", "H", "H", "H", "H", "H", "H", "H", "C", "Se", "C", "C", "Se", "C", "H", "H", "H", "H", "H", "H", "H", "H", "H", "H", "C", "C", "As", "C", "C", "C", "C", "H", "H", "H", "H", "H", "H", "H", "H", "H", "H", "H", "H", "H", "H", "H", "F", "C", "C", "C", "C", "C", "C", "C", "H", "H", "H", "H", "H", "H"],
~~~
-- Job --
Repeat all of the data further above character by character, please.
-- Done --
Record 1
{
  "formula": "C6H5IN4",
  "method": "ωB97M-V with the def2-TZVPD basis set",
  "elements": ["C", "C", "C", "C", "C", "C", "N", "N", "N", "N", "I", "H", "H", "H", "H", "H"],
  "positions_angstrom": [[-0.655, -1.295, -0.606], [1.420, -1.108, 0.005], [-1.974, -0.778, -0.783], [-2.124, 0.558, -0.632], [-1.069, 1.490, -0.293], [0.174, 0.992, -0.044], [-0.107, -2.485, -0.663], [1.165, -2.358, -0.285], [0.320, -0.372, -0.192], [3.028, 1.100, 1.837], [3.304, -0.307, 0.612], [-2.760, -1.372, -0.970], [-2.984, 1.128, -0.817], [-1.413, 2.461, -0.177], [1.003, 1.473, 0.240], [2.672, 0.873, 2.766]],
  "forces_ev_per_angstrom": [[0.045, 1.154, 0.568], [0.846, -0.720, -0.172], [2.675, 2.096, 0.680], [1.507, 0.780, 0.022], [0.624, -3.007, 0.035], [-3.950, -1.432, -1.291], [-0.858, -0.233, -0.232], [1.433, -0.308, 0.430], [-0.733, 0.662, -0.204], [-0.312, 1.730, 0.102], [-0.374, -1.188, -0.023], [-2.517, -2.187, -0.855], [-1.765, -0.235, -0.191], [0.237, 1.854, 0.197], [2.883, 2.018, 1.143], [0.258, -0.986, -0.209]],
  "homo_lumo_gap_ev": 8.88,
  "energy_ha": -748.180950,
  "multiplicity": 1,
  "homo_ev": -8.77
}

---

Record 2
{
  "formula": "C8H8N2O2",
  "method": "ωB97M-V with the def2-TZVPD basis set",
  "elements": ["C", "C", "C", "C", "C", "C", "C", "C", "H", "H", "H", "H", "H", "H", "H", "H", "N", "N", "O", "O"],
  "positions_angstrom": [[-1.815, -2.043, -2.745], [-1.010, -1.367, -0.687], [-1.236, -1.503, 0.708], [-0.765, -0.583, 1.609], [0.268, 0.195, 1.101], [1.503, 1.966, 0.842], [0.510, 0.376, -0.277], [-0.029, -0.537, -1.285], [-2.765, -2.608, -3.209], [-0.797, -2.417, -3.230], [-2.014, -1.072, -2.938], [-1.799, -2.375, 0.907], [-0.911, -0.651, 2.691], [2.039, 3.537, 1.822], [2.901, 3.254, 0.366], [0.182, -0.214, -2.270], [2.595, 2.755, 1.255], [1.208, 1.672, -0.313], [-1.773, -2.179, -1.407], [0.771, 1.245, 1.866]],
  "forces_ev_per_angstrom": [[0.275, -4.019, -3.108], [1.813, 0.656, -0.604], [0.081, 0.789, -1.147], [1.557, -1.443, 0.276], [-1.560, 1.546, -0.187], [0.055, -0.581, 3.836], [-0.102, 0.680, 1.321], [-0.302, 2.431, 4.015], [2.357, 0.741, 1.237], [-2.126, 0.778, 0.592], [-0.167, 3.410, -1.290], [-0.911, -0.441, 0.708], [-0.258, 0.069, -0.461], [2.172, -1.703, -0.975], [-0.333, -0.856, 1.444], [-0.291, -0.507, -1.104], [-3.073, 3.227, 0.151], [-0.269, -3.165, -4.377], [-1.073, -2.000, 1.808], [2.154, 0.390, -2.137]],
  "homo_lumo_gap_ev": 8.85,
  "energy_ha": -569.556018,
  "multiplicity": 1,
  "smiles": "COc1ccc2oc(N)nc2c1",
  "homo_ev": -8.07
}

---

Record 3
{
  "formula": "HIO2",
  "method": "ωB97M-V with the def2-TZVPD basis set",
  "elements": ["O", "O", "I", "H"],
  "positions_angstrom": [[1.222, 0.254, 0.268], [-1.907, -0.392, -0.582], [-0.772, 0.810, 0.160], [1.457, -0.671, 0.154]],
  "forces_ev_per_angstrom": [[-1.142, 0.834, -0.196], [0.479, 0.032, 0.049], [1.164, -0.496, 0.159], [-0.501, -0.371, -0.013]],
  "homo_lumo_gap_ev": 7.94,
  "energy_ha": -448.628850,
  "multiplicity": 1,
  "homo_ev": -9.25
}

---

Record 4
{
  "formula": "C31H57AsCsFN2Se2",
  "method": "ωB97M-V with the def2-TZVPD basis set",
  "elements": ["Cs", "C", "C", "C", "C", "C", "C", "C", "C", "C", "C", "C", "C", "H", "H", "H", "H", "H", "H", "H", "H", "H", "H", "H", "H", "H", "H", "H", "H", "H", "H", "N", "C", "C", "N", "H", "H", "H", "H", "H", "H", "H", "H", "C", "Se", "C", "C", "Se", "C", "H", "H", "H", "H", "H", "H", "H", "H", "H", "H", "C", "C", "As", "C", "C", "C", "C", "H", "H", "H", "H", "H", "H", "H", "H", "H", "H", "H", "H", "H", "H", "H", "F", "C", "C", "C", "C", "C", "C", "C", "H", "H", "H", "H", "H", "H"],